-- Entries --
┌──
[1]
# HoLu2In3Pt2Au

A relaxed HoLu2In3Pt2Au crystal (PBE, OQMD via LeMat-Bulk).

Output
Energy, eV per atom: -5.04

Unit cell a=3.7313 b=7.7604 c=7.7604 alpha=120.22 beta=90.00 gamma=90.00
Last column: nearest neighbours and their distance in Å.
Sites, in units of the cell vectors:
Lu  0.0000  0.5948  0.0002  4 Pt 2.99, 6 In 3.12-3.35, 1 Au 3.14
In  0.5000  0.9998  0.2718  2 Au 2.82, 2 Pt 2.83-2.86, 2 Lu 3.12
Au  0.0000  0.9985  0.9985  6 In 2.80-2.82
Pt  0.5000  0.6692  0.3324  3 In 2.83-2.87, 4 Lu 2.99, 2 Ho 3.03
Ho  0.0000  0.4051  0.4051  4 Pt 3.03, 6 In 3.12-3.34, 1 Au 3.14
In  0.5000  0.2718  0.9998  2 Au 2.82, 2 Pt 2.83-2.86, 2 Lu 3.12
Pt  0.5000  0.3324  0.6692  3 In 2.83-2.87, 4 Lu 2.99, 2 Ho 3.03
Lu  0.0000  0.0002  0.5948  4 Pt 2.99, 6 In 3.12-3.35, 1 Au 3.14
In  0.5000  0.7282  0.7282  2 Au 2.80, 2 Pt 2.87, 2 Ho 3.12

=====

[2]
# ErPuMg

A relaxed ErPuMg crystal (PBE, OQMD via LeMat-Bulk).

Output
E above lowest polymorph, eV per atom: 0.0000

Unit cell a=5.1806 b=5.1806 c=5.1806 alpha=60.00 beta=60.00 gamma=60.00
Last column: nearest neighbours and their distance in Å.
Sites, in units of the cell vectors:
Mg  0.0000  0.0000  0.0000  4 Er 3.17, 4 Pu 3.17
Pu  0.7500  0.7500  0.7500  4 Mg 3.17
Er  0.2500  0.2500  0.2500  4 Mg 3.17

=====

[3]
# ErMgAuSe2S

A relaxed ErMgAuSe2S crystal (PBE, OQMD via LeMat-Bulk).

Output
Energy, eV per atom: -4.45

Unit cell a=6.8062 b=6.8062 c=10.4558 alpha=90.00 beta=90.00 gamma=147.23
Last column: nearest neighbours and their distance in Å.
Sites, in units of the cell vectors:
S  0.3868  0.6132  0.2500  2 Au 2.59, 2 Mg 2.67
Se  0.1527  0.8473  0.4328  1 Au 2.58, 2 Er 2.86
Se  0.1527  0.8473  0.0672  1 Au 2.58, 2 Er 2.86
Mg  0.7446  0.2554  0.2500  2 S 2.67, 4 Se 2.96
Se  0.8473  0.1527  0.5672  1 Au 2.58, 2 Er 2.86
Au  0.0201  0.9799  0.2500  2 Se 2.58, 2 S 2.59
Au  0.9799  0.0201  0.7500  2 Se 2.58, 2 S 2.59
Er  0.5000  0.5000  0.5000  4 Se 2.86, 2 S 3.00
Se  0.8473  0.1527  0.9328  1 Au 2.58, 2 Er 2.86
Mg  0.2554  0.7446  0.7500  2 S 2.67, 4 Se 2.96
Er  0.5000  0.5000  0.0000  4 Se 2.86, 2 S 3.00
S  0.6132  0.3868  0.7500  2 Au 2.59, 2 Mg 2.67

=====

Record-wise magnetic moment values, in μB/cell: 0.003; 7.400; 0.013

* * * * *

Entry 1:
Density functional theory data (PBE-GGA) for crystalline BeBPb at its relaxed geometry.

Summary:
The formation energy is 0.158 eV/atom. The spin magnetization is 0.00 μB/f.u. The final energy comes out at -4.546 eV/atom. The space-group type is No. 2. The relative energy among the computed polymorphs is 0.000 eV per atom. The crystal system is triclinic.

Lattice parameters (Å, degrees): 3.091 3.659 8.919 83.93 83.35 89.85
Element x y z (fractional)
Be (0.227, 0.362, 0.070)
Be (0.773, 0.638, 0.930)
B (0.246, 0.888, 0.015)
B (0.754, 0.112, 0.985)
Pb (0.175, 0.774, 0.327)
Pb (0.825, 0.226, 0.673)

=====

Entry 2:
Density functional theory data (PBE-GGA) for crystalline Nd4GeSI2 at its relaxed geometry.

Summary:
Its raw formation energy is -1.267 eV/atom. The spin magnetization is 0.00 μB/f.u. The final energy comes out at -5.132 eV/atom. The space-group type is No. 10. The crystal system is monoclinic.

Lattice parameters (Å, degrees): 7.321 4.284 8.111 90.00 108.01 90.00
Element x y z (fractional)
Nd (0.219, 0.000, 0.188)
Nd (0.258, 0.500, 0.807)
Nd (0.742, 0.500, 0.193)
Nd (0.781, 0.000, 0.812)
Ge (0.500, 0.000, 0.000)
S (0.000, 0.500, 0.000)
I (0.000, 0.000, 0.500)
I (0.500, 0.500, 0.500)

=====

Entry 3:
Density functional theory data (PBE-GGA) for crystalline TbMgSi2 at its relaxed geometry.

Summary:
Its raw formation energy is -0.219 eV/atom. The spin magnetization is 0.00 μB/f.u. The final energy comes out at -4.487 eV/atom. The space-group type is No. 166. The relative energy among the computed polymorphs is 0.228 eV per atom. The crystal system is trigonal.

Lattice parameters (Å, degrees): 5.474 5.474 5.474 47.48 47.48 47.48
Element x y z (fractional)
Tb (0.000, 0.000, 0.000)
Mg (0.500, 0.500, 0.500)
Si (0.224, 0.224, 0.224)
└──
-- Brief --
Count the lines further above that contain the word "magnetization" and give the number alone.
-- Result --
3